Source:
An isolated ion of composition C4H10N2O and charge +1 in a non-equilibrium geometry, computed with wB97M-V/def2-TZVPD.

Bonds (Å) are listed after each position.
Element x y z (Å)
1 N -0.571 -1.119 -1.238  C4 1.409, H8 1.018, H9 1.022
2 C -0.566 1.828 -1.807  C3 1.541, H10 1.086, H11 1.085, H12 1.089
3 C 0.301 1.105 -0.758  C2 1.541, C4 1.509, H13 1.093, H14 1.089
4 C -0.457 -0.104 -0.267  N1 1.409, C3 1.509, C5 1.640, H15 1.085
5 C 0.325 -0.603 1.086  C4 1.640, N6 1.337, O7 1.187
6 N -0.144 -0.099 2.231  C5 1.337, H16 1.005, H17 1.008
7 O 1.372 -1.149 0.960  C5 1.187
8 H -1.147 -1.894 -0.916  N1 1.018
9 H 0.317 -1.608 -1.363  N1 1.022
10 H -0.015 2.668 -2.219  C2 1.086
11 H -1.465 2.238 -1.357  C2 1.085
12 H -0.611 1.105 -2.620  C2 1.089
13 H 1.288 0.850 -1.153  C3 1.093
14 H 0.487 1.779 0.077  C3 1.089
15 H -1.440 0.132 0.127  C4 1.085
16 H -0.818 0.635 2.107  N6 1.005
17 H -0.053 -0.497 3.153  N6 1.008

Calculated values
- HOMO-LUMO gap (alpha / beta) (eV) = 12.03 / 7.08
- net charge = +1
- multiplicity = 2
- calculated total energy (Ha) = -342.83968
- energy above the lowest of the compared OMol25 structures with the same formula, charge and spin (kcal per mole) = 18.1
- <S²> = 0.7575
- strongest force on any atom (eV/A) = 2.7

~~~~~

C15H44O7 | ωB97M-V with the def2-TZVPD basis set

Calculated values
**Molar mass**: 336.5 g/mol
**DFT total energy**: -1124.343092 a.u.
**E_LUMO**: 0.35 eV
**ΔE to the lowest compared entry with this formula, charge and spin**: 647.03 kJ/mol
**Charge**: 0

```
66
Properties=species:S:1:pos:R:3:mulliken_charge:R:1
C -0.8073 -2.7456 -5.1009 -1.589
C 0.4830 -1.2408 -3.5973 -0.230
H -3.9905 1.6665 2.1464 0.554
H 1.2893 -2.3018 0.8262 0.555
H -1.9879 -4.4546 0.3691 0.312
O 2.3143 2.2293 -3.0564 -0.639
H 2.0541 -0.1428 -0.8563 0.268
H 1.3856 -1.8262 -3.7948 0.447
C 1.3000 -0.3548 3.9187 0.624
H 3.8432 1.3679 -2.0424 0.185
H -4.2250 0.7243 0.0574 0.370
H -1.6242 -2.8174 -5.8411 0.362
H -1.1492 3.0525 -0.9163 0.396
H 2.3828 3.3386 -0.5080 0.390
H -1.5410 0.0451 1.1582 -0.244
C -2.0151 0.9484 1.5246 -0.374
C -4.2049 -0.0199 0.8527 -1.350
H 0.3863 1.7066 0.7682 -0.168
H -5.2461 -0.1595 1.1547 0.418
H 0.0945 -1.5806 -2.6444 -0.119
H -1.9251 1.8285 0.8369 0.259
H 1.7262 1.9721 -2.4012 0.430
H -1.0210 -2.4253 2.1703 -0.003
H -4.3182 0.3811 3.5473 0.388
H 1.6181 1.3737 5.2871 0.406
H 0.8710 0.1404 6.0906 0.451
H -1.6863 0.1456 -4.7844 0.367
C 1.1291 -1.7272 -0.0458 -0.675
C -1.7645 -2.7468 1.4157 -0.152
C 0.7306 2.1686 -0.1272 1.368
C 2.3804 0.0615 2.8926 -1.002
H 0.5610 -2.3895 -0.7138 0.325
O -1.7777 -4.1728 1.2608 -0.575
H 1.4011 -1.4119 4.1182 0.275
H -0.4479 -0.8585 3.8869 0.332
H 2.1194 1.0944 2.6086 -0.035
H 0.5528 -0.8445 0.2481 0.110
H 3.0946 0.3197 -3.1851 0.105
H 0.0186 -3.2026 -5.5461 0.443
H -2.7684 -2.4204 1.7504 0.375
H 0.2150 3.9254 -1.4315 0.385
H 3.3548 0.1500 3.4140 0.458
H 2.4680 0.0490 5.6856 0.492
H -1.6260 -2.2143 0.5097 -0.010
C 3.3876 1.3569 -3.0253 -0.486
H -0.4338 3.9303 0.3148 0.410
O -3.5289 0.1016 3.0561 -0.461
H -3.7357 -0.9511 0.4983 0.220
H -1.5176 1.2860 2.4426 0.162
C 1.5156 0.3376 5.2937 -1.878
C -3.4640 0.7526 1.9921 0.064
H 0.7700 -0.1933 -3.4058 -0.235
H -0.1282 -0.9022 -5.7165 0.354
C -0.1531 3.3632 -0.5938 -1.649
H -0.1779 1.1037 -1.3259 0.166
H 4.2391 1.6973 -3.6630 0.321
H 2.5333 -0.5669 2.0245 0.250
C 2.1125 2.5995 0.2826 -1.860
O -1.6173 -0.7749 -4.5283 -0.569
H -1.1030 -3.4119 -4.2525 0.302
H 2.1180 3.0011 1.2738 0.427
O 0.1050 -0.0982 3.6457 -0.339
O 0.7716 1.2814 -1.0501 0.021
O 2.2835 -1.0889 -0.6844 -0.677
C -0.4978 -1.2889 -4.7715 0.474
H 2.8732 1.8339 0.2865 0.298
```
Wanted:
Write out all of the data further above word for word.
Reply:
An isolated ion of composition C4H10N2O and charge +1 in a non-equilibrium geometry, computed with wB97M-V/def2-TZVPD.

Bonds (Å) are listed after each position.
Element x y z (Å)
1 N -0.571 -1.119 -1.238  C4 1.409, H8 1.018, H9 1.022
2 C -0.566 1.828 -1.807  C3 1.541, H10 1.086, H11 1.085, H12 1.089
3 C 0.301 1.105 -0.758  C2 1.541, C4 1.509, H13 1.093, H14 1.089
4 C -0.457 -0.104 -0.267  N1 1.409, C3 1.509, C5 1.640, H15 1.085
5 C 0.325 -0.603 1.086  C4 1.640, N6 1.337, O7 1.187
6 N -0.144 -0.099 2.231  C5 1.337, H16 1.005, H17 1.008
7 O 1.372 -1.149 0.960  C5 1.187
8 H -1.147 -1.894 -0.916  N1 1.018
9 H 0.317 -1.608 -1.363  N1 1.022
10 H -0.015 2.668 -2.219  C2 1.086
11 H -1.465 2.238 -1.357  C2 1.085
12 H -0.611 1.105 -2.620  C2 1.089
13 H 1.288 0.850 -1.153  C3 1.093
14 H 0.487 1.779 0.077  C3 1.089
15 H -1.440 0.132 0.127  C4 1.085
16 H -0.818 0.635 2.107  N6 1.005
17 H -0.053 -0.497 3.153  N6 1.008

Calculated values
- HOMO-LUMO gap (alpha / beta) (eV) = 12.03 / 7.08
- net charge = +1
- multiplicity = 2
- calculated total energy (Ha) = -342.83968
- energy above the lowest of the compared OMol25 structures with the same formula, charge and spin (kcal per mole) = 18.1
- <S²> = 0.7575
- strongest force on any atom (eV/A) = 2.7

~~~~~

C15H44O7 | ωB97M-V with the def2-TZVPD basis set

Calculated values
**Molar mass**: 336.5 g/mol
**DFT total energy**: -1124.343092 a.u.
**E_LUMO**: 0.35 eV
**ΔE to the lowest compared entry with this formula, charge and spin**: 647.03 kJ/mol
**Charge**: 0

```
66
Properties=species:S:1:pos:R:3:mulliken_charge:R:1
C -0.8073 -2.7456 -5.1009 -1.589
C 0.4830 -1.2408 -3.5973 -0.230
H -3.9905 1.6665 2.1464 0.554
H 1.2893 -2.3018 0.8262 0.555
H -1.9879 -4.4546 0.3691 0.312
O 2.3143 2.2293 -3.0564 -0.639
H 2.0541 -0.1428 -0.8563 0.268
H 1.3856 -1.8262 -3.7948 0.447
C 1.3000 -0.3548 3.9187 0.624
H 3.8432 1.3679 -2.0424 0.185
H -4.2250 0.7243 0.0574 0.370
H -1.6242 -2.8174 -5.8411 0.362
H -1.1492 3.0525 -0.9163 0.396
H 2.3828 3.3386 -0.5080 0.390
H -1.5410 0.0451 1.1582 -0.244
C -2.0151 0.9484 1.5246 -0.374
C -4.2049 -0.0199 0.8527 -1.350
H 0.3863 1.7066 0.7682 -0.168
H -5.2461 -0.1595 1.1547 0.418
H 0.0945 -1.5806 -2.6444 -0.119
H -1.9251 1.8285 0.8369 0.259
H 1.7262 1.9721 -2.4012 0.430
H -1.0210 -2.4253 2.1703 -0.003
H -4.3182 0.3811 3.5473 0.388
H 1.6181 1.3737 5.2871 0.406
H 0.8710 0.1404 6.0906 0.451
H -1.6863 0.1456 -4.7844 0.367
C 1.1291 -1.7272 -0.0458 -0.675
C -1.7645 -2.7468 1.4157 -0.152
C 0.7306 2.1686 -0.1272 1.368
C 2.3804 0.0615 2.8926 -1.002
H 0.5610 -2.3895 -0.7138 0.325
O -1.7777 -4.1728 1.2608 -0.575
H 1.4011 -1.4119 4.1182 0.275
H -0.4479 -0.8585 3.8869 0.332
H 2.1194 1.0944 2.6086 -0.035
H 0.5528 -0.8445 0.2481 0.110
H 3.0946 0.3197 -3.1851 0.105
H 0.0186 -3.2026 -5.5461 0.443
H -2.7684 -2.4204 1.7504 0.375
H 0.2150 3.9254 -1.4315 0.385
H 3.3548 0.1500 3.4140 0.458
H 2.4680 0.0490 5.6856 0.492
H -1.6260 -2.2143 0.5097 -0.010
C 3.3876 1.3569 -3.0253 -0.486
H -0.4338 3.9303 0.3148 0.410
O -3.5289 0.1016 3.0561 -0.461
H -3.7357 -0.9511 0.4983 0.220
H -1.5176 1.2860 2.4426 0.162
C 1.5156 0.3376 5.2937 -1.878
C -3.4640 0.7526 1.9921 0.064
H 0.7700 -0.1933 -3.4058 -0.235
H -0.1282 -0.9022 -5.7165 0.354
C -0.1531 3.3632 -0.5938 -1.649
H -0.1779 1.1037 -1.3259 0.166
H 4.2391 1.6973 -3.6630 0.321
H 2.5333 -0.5669 2.0245 0.250
C 2.1125 2.5995 0.2826 -1.860
O -1.6173 -0.7749 -4.5283 -0.569
H -1.1030 -3.4119 -4.2525 0.302
H 2.1180 3.0011 1.2738 0.427
O 0.1050 -0.0982 3.6457 -0.339
O 0.7716 1.2814 -1.0501 0.021
O 2.2835 -1.0889 -0.6844 -0.677
C -0.4978 -1.2889 -4.7715 0.474
H 2.8732 1.8339 0.2865 0.298
```